• Listing:
┌──
{
  "formula": "Dy6Tm2MgSc3",
  "functional": "PBE",
  "state": "relaxed",
  "volume_a3_per_fu": 344,
  "space_group": "C2/m (12)",
  "final_energy_ev_per_atom": -4.716,
  "e_form_ev_per_fu": 0.6,
  "lattice_angstrom": [[2.989, -5.178, 0.000], [2.989, 5.178, 0.000], [-2.001, 0.000, 11.126]],
  "species": ["Dy", "Dy", "Dy", "Dy", "Dy", "Dy", "Tm", "Tm", "Mg", "Sc", "Sc", "Sc"],
  "fractional_positions": [[0.085, 0.419, 0.757], [0.248, 0.248, 0.243], [0.419, 0.085, 0.757], [0.581, 0.915, 0.243], [0.752, 0.752, 0.757], [0.915, 0.581, 0.243], [0.333, 0.667, 0.500], [0.667, 0.333, 0.500], [0.000, 0.000, 0.500], [0.166, 0.834, 0.000], [0.500, 0.500, 0.000], [0.834, 0.166, 0.000]]
}

=====

{
  "formula": "Dy2Tm4MgSc",
  "functional": "PBE",
  "state": "relaxed",
  "volume_a3_per_fu": 231,
  "space_group": "P2/m (10)",
  "final_energy_ev_per_atom": -4.341,
  "e_form_ev_per_fu": 0.3,
  "lattice_angstrom": [[4.882, 0.000, 0.000], [0.000, 4.874, 0.000], [-0.008, 0.000, 9.719]],
  "species": ["Dy", "Dy", "Tm", "Tm", "Tm", "Tm", "Mg", "Sc"],
  "fractional_positions": [[0.000, 0.000, 0.000], [0.500, 0.500, 0.500], [0.000, 0.500, 0.246], [0.000, 0.500, 0.754], [0.499, 0.000, 0.246], [0.501, 0.000, 0.754], [0.000, 0.000, 0.500], [0.500, 0.500, 0.000]]
}

=====

{
  "formula": "DyTmMgSc",
  "functional": "PBE",
  "state": "relaxed",
  "volume_a3_per_fu": 109,
  "space_group": "P4mm (99)",
  "final_energy_ev_per_atom": -4.254,
  "e_form_ev_per_fu": 0.0,
  "relative_energy_ev_per_atom": 0.000,
  "lattice_angstrom": [[3.447, 0.000, 0.000], [0.000, 3.447, 0.000], [0.000, 0.000, 9.178]],
  "species": ["Dy", "Tm", "Mg", "Sc"],
  "fractional_positions": [[0.000, 0.000, 0.000], [0.500, 0.500, 0.728], [0.500, 0.500, 0.254], [0.000, 0.000, 0.478]]
}

=====

{
  "formula": "Dy2Tm6MgSc3",
  "functional": "PBE",
  "state": "relaxed",
  "volume_a3_per_fu": 339,
  "space_group": "C2/m (12)",
  "final_energy_ev_per_atom": -4.672,
  "e_form_ev_per_fu": 0.6,
  "lattice_angstrom": [[2.969, -5.143, 0.000], [2.969, 5.143, 0.000], [-1.992, 0.000, 11.116]],
  "species": ["Dy", "Dy", "Tm", "Tm", "Tm", "Tm", "Tm", "Tm", "Mg", "Sc", "Sc", "Sc"],
  "fractional_positions": [[0.167, 0.833, 0.000], [0.833, 0.167, 0.000], [0.081, 0.415, 0.742], [0.252, 0.252, 0.258], [0.415, 0.081, 0.742], [0.585, 0.919, 0.258], [0.748, 0.748, 0.742], [0.919, 0.585, 0.258], [0.500, 0.500, 0.000], [0.000, 0.000, 0.500], [0.334, 0.666, 0.500], [0.666, 0.334, 0.500]]
}

=====

{
  "formula": "Dy4Tm2MgSc",
  "functional": "PBE",
  "state": "relaxed",
  "volume_a3_per_fu": 234,
  "space_group": "P4/mmm (123)",
  "final_energy_ev_per_atom": -4.382,
  "e_form_ev_per_fu": 0.2,
  "lattice_angstrom": [[4.931, 0.000, 0.000], [0.000, 4.931, 0.000], [0.000, 0.000, 9.604]],
  "species": ["Dy", "Dy", "Dy", "Dy", "Tm", "Tm", "Mg", "Sc"],
  "fractional_positions": [[0.000, 0.500, 0.247], [0.000, 0.500, 0.753], [0.500, 0.000, 0.247], [0.500, 0.000, 0.753], [0.000, 0.000, 0.000], [0.500, 0.500, 0.500], [0.000, 0.000, 0.500], [0.500, 0.500, 0.000]]
}

=====

{
  "formula": "Dy4Y2MgSc",
  "functional": "PBE",
  "state": "relaxed",
  "volume_a3_per_fu": 238,
  "space_group": "P2/m (10)",
  "final_energy_ev_per_atom": -4.875,
  "e_form_ev_per_fu": 0.3,
  "lattice_angstrom": [[4.927, 0.000, 0.000], [0.000, 4.928, 0.000], [-0.008, 0.000, 9.819]],
  "species": ["Dy", "Dy", "Dy", "Dy", "Y", "Y", "Mg", "Sc"],
  "fractional_positions": [[0.000, 0.000, 0.247], [0.000, 0.000, 0.753], [0.500, 0.500, 0.247], [0.500, 0.500, 0.753], [0.000, 0.500, 0.000], [0.500, 0.000, 0.500], [0.000, 0.500, 0.500], [0.500, 0.000, 0.000]]
}

=====

{
  "formula": "Dy2Y2Mg5Sc",
  "functional": "PBE",
  "state": "relaxed",
  "volume_a3_per_fu": 274,
  "space_group": "P4/mbm (127)",
  "final_energy_ev_per_atom": -3.539,
  "e_form_ev_per_fu": 1.0,
  "lattice_angstrom": [[10.550, 0.000, 0.000], [0.000, 10.550, 0.000], [0.000, 0.000, 4.919]],
└──

• Request:
Retype only the lines further above with the word "Dy2Y2Mg5Sc" in them.

• Reply:
  "formula": "Dy2Y2Mg5Sc",